Book Review
Fungi of Switzerland:
Vol. 6, Russulaceae
**Inserted here: data records**
Record 1
Material: RbAcTe2O6
Method: DFT, PBE-GGA
State: optimized geometry

```
data_RbAcTe2O6
_symmetry_space_group_name_H-M 'R -3'
_symmetry_Int_Tables_number 148
_symmetry_space_group_name_Hall '-R 3'
_cell_length_a 6.2330
_cell_length_b 6.2330
_cell_length_c 19.2984
_cell_angle_alpha 90.00
_cell_angle_beta 90.00
_cell_angle_gamma 120.00
loop_
_atom_site_label
_atom_site_type_symbol
_atom_site_fract_x
_atom_site_fract_y
_atom_site_fract_z
_atom_site_occupancy
Rb1 Rb 0.0000 0.0000 0.0000 1
Ac1 Ac 0.0000 0.0000 0.5000 1
Te1 Te 0.0000 0.0000 0.2842 1
O1 O 0.0332 0.6057 0.9090 1
```

Calculated values
final energy: -5.924 eV per atom
density of states at the Fermi level: 0.000 states/eV per cell
total magnetic moment: 0.00 μB per formula unit
crystal system: trigonal
formation energy from raw total energies: -1.8131 eV per atom

Record 2
Material: RbAcTe2O8
Method: DFT, PBE-GGA
State: optimized geometry

```
data_RbAcTe2O8
_symmetry_space_group_name_H-M 'P -3'
_symmetry_Int_Tables_number 147
_symmetry_space_group_name_Hall '-P 3'
_cell_length_a 6.2433
_cell_length_b 6.2433
_cell_length_c 8.3015
_cell_angle_alpha 90.00
_cell_angle_beta 90.00
_cell_angle_gamma 120.00
loop_
_atom_site_label
_atom_site_type_symbol
_atom_site_fract_x
_atom_site_fract_y
_atom_site_fract_z
_atom_site_occupancy
Rb1 Rb 0.0000 0.0000 0.0000 1
Ac1 Ac 0.0000 0.0000 0.5000 1
Te1 Te 0.3333 0.6667 0.7737 1
O1 O 0.1723 0.3484 0.6921 1
O2 O 0.3333 0.6667 0.9930 1
```

Calculated values
final energy: -5.836 eV per atom
density of states at the Fermi level: 0.000 states/eV per cell
total magnetic moment: 0.00 μB per formula unit
crystal system: trigonal
formation energy from raw total energies: -1.5842 eV per atom

Record 3
Material: Rb4Ac3ThO8
Method: DFT, PBE-GGA
State: optimized geometry

```
data_Rb4Ac3ThO8
_symmetry_space_group_name_H-M 'R -3 m'
_symmetry_Int_Tables_number 166
_symmetry_space_group_name_Hall '-R 3 2"'
_cell_length_a 7.7607
_cell_length_b 7.7607
_cell_length_c 20.5524
_cell_angle_alpha 90.00
_cell_angle_beta 90.00
_cell_angle_gamma 120.00
loop_
_atom_site_label
_atom_site_type_symbol
_atom_site_fract_x
_atom_site_fract_y
_atom_site_fract_z
_atom_site_occupancy
Rb1 Rb 0.0000 0.0000 0.0000 1
Rb2 Rb 0.0000 0.5000 0.0000 1
Ac1 Ac 0.0000 0.5000 0.5000 1
Th1 Th 0.0000 0.0000 0.5000 1
O1 O 0.0000 0.0000 0.2224 1
O2 O 0.0238 0.5119 0.2223 1
```

Calculated values
final energy: -6.486 eV per atom
density of states at the Fermi level: 9.614 states/eV per cell
total magnetic moment: 0.12 μB per formula unit
crystal system: trigonal
formation energy from raw total energies: -2.5314 eV per atom

Record 4
Material: Rb3Ac3TiO8
Method: DFT, PBE-GGA
State: optimized geometry

```
data_Rb3Ac3TiO8
_symmetry_space_group_name_H-M 'R -3 m'
_symmetry_Int_Tables_number 166
_symmetry_space_group_name_Hall '-R 3 2"'
_cell_length_a 7.3436
_cell_length_b 7.3436
_cell_length_c 19.9755
_cell_angle_alpha 90.00
_cell_angle_beta 90.00
_cell_angle_gamma 120.00
loop_
_atom_site_label
**So much for the data records**
I began my review of Volume 5 in this series by saying, "There's both good news and bad news to report," and that's also true with respect to Volume 6. First the good news–the latest of the "Swiss books" is now available. The bad news is that it is the final volume of this fine project produced by a small group of Swiss amateur mycologists; there are no more to look forward to. Also in the bad news category is the fact that our dollar is not doing as well in late 2005 as it was in 2001 so, although the price for this volume is the same in Swiss francs as the last two, it will cost U.S. buyers about 25% more.
This is the last volume in a series that documents the macrofungi of Switzerland. The previous five volumes cover the larger ascomycetes (Vol.1); the non-gilled fungi—jellies, polypores, chanterelles, corals, puffballs, and the like (Vol. 2); the boletes and a portion of the agarics—Hygrophoraceae, Tricholomataceae, and gilled Polyporaceae (Vol. 3); another portion of the agarics—Entolomataceae, Pluteaceae, Amanitaceae, Agaricaceae, Coprinaceae, Bolbitiaceae, and Strophariaceae (Vol. 4); and the Cortinariaceae (Vol. 5). Coverage concludes here with the Russulaceae (Russula and Lactarius). Altogether, over 2,400 species are described and illustrated, including 218 in the last volume. The earlier volumes all have been praised for their high quality, and the new release does nothing to detract from the series's well deserved reputation.
**Crystal structures, kept here for reference:**
No. 1
This record from Alexandria via LeMat-Bulk describes a relaxed Pm2Nd4HoTm2 crystal. The functional is PBE.

Lattice parameters (Å, degrees): 5.123 8.105 8.050 107.60 90.00 108.43
Fractional coordinates of all 9 atoms:
Pm 0.888 0.777 0.330
Pm 0.112 0.223 0.670
Nd 0.778 0.556 0.670
Nd 0.222 0.444 0.330
Nd 0.555 0.109 0.330
Nd 0.445 0.891 0.670
Ho 0.000 0.000 0.000
Tm 0.333 0.666 0.000
Tm 0.667 0.334 0.000

Summary:
N(E_F) ... 14.4 states/eV/cell
E ... -41.88 eV per formula unit
Formation energy ... 23 meV per atom
SG ... No. 12

=====

No. 2
This record from Alexandria via LeMat-Bulk describes a relaxed Y2ZnSn2Rh5 crystal. The functional is PBE.

Lattice parameters (Å, degrees): 3.647 10.115 10.115 90.00 90.00 90.00
Fractional coordinates of all 20 atoms:
Y 0.000 0.669 0.169
Y 0.000 0.331 0.831
Y 0.000 0.169 0.331
Y 0.000 0.831 0.669
Zn 0.000 0.000 0.000
Zn 0.000 0.500 0.500
Sn 0.000 0.132 0.632
Sn 0.000 0.868 0.368
Sn 0.000 0.632 0.868
Sn 0.000 0.368 0.132
Rh 0.500 0.195 0.057
Rh 0.500 0.805 0.943
Rh 0.500 0.057 0.805
Rh 0.500 0.695 0.443
Rh 0.500 0.943 0.195
Rh 0.500 0.305 0.557
Rh 0.500 0.557 0.695
Rh 0.500 0.443 0.305
Rh 0.500 0.500 0.000
Rh 0.500 0.000 0.500

Summary:
N(E_F) ... 5.9 states/eV/cell
E ... -64.24 eV per formula unit
Formation energy ... -528 meV per atom
SG ... No. 127

* * * * *

Ce2InSi2Ir5: optimized geometry, GGA-PBE.

Computed properties:
The total moment is 0.93 μB/f.u. For the calculated total energy, the calculation gives -7.660 eV per atom. The formation energy (no corrections) comes out at -66 kJ per mole of atoms. The space-group type is No. 127.

The structure in POSCAR format:
```
Ce2InSi2Ir5
1.0
-1.9851 -0.6391 3.0015
6.6529 -6.5982 2.9951
4.8949 7.0904 4.7470
Ce In Si Ir
4 2 4 10
Direct
0.0000 0.6783 0.1783 Ce
0.0000 0.3217 0.8217 Ce
0.0000 0.1783 0.3217 Ce
0.0000 0.8217 0.6783 Ce
0.0000 0.0000 0.0000 In
0.0000 0.5000 0.5000 In
0.0000 0.1202 0.6202 Si
0.0000 0.8798 0.3798 Si
0.0000 0.6202 0.8798 Si
0.0000 0.3798 0.1202 Si
0.5000 0.2201 0.0685 Ir
0.5000 0.7799 0.9315 Ir
0.5000 0.0685 0.7799 Ir
0.5000 0.7201 0.4315 Ir
0.5000 0.9315 0.2201 Ir
0.5000 0.2799 0.5685 Ir
0.5000 0.5685 0.7201 Ir
0.5000 0.4315 0.2799 Ir
0.5000 0.5000 0.0000 Ir
0.5000 0.0000 0.5000 Ir
```
The format is essentially the same as that of the earlier volumes. After the preface by mycologist Henri Clémençon, translators' note, and author's foreword, the book includes an introduction and synopsis of the taxonomic arrangement, spore-color chart, study methods, glossary, lists of abbreviations and symbols used, abbreviations of taxonomic authors' names, and both Latin and English names for the plants that appear in the habitat descriptions. This is followed by a set of dichotomous keys to the included taxa and the species descriptions. The book conludes with an extensive bibliography, index, and a cumulative appendix with keys, family and genus lists, and an index to the entire series.
The keys are based on a combination of macroscopic features and basic microscopic observations, such as spore shape, ornamentation, and dimensions. The floristic part represents the main body of the book, and it will look familiar to users of the previous volumes, with one major exception: Previously, species descriptions were arranged three per two-page spread, one above another. Here there are only two species per two-page spread. As usual, on the left-hand page is the fungus's name, including author, a short list of synonyms, a symbol denoting edibility, and the text description. Each description includes information about habitat; macroscopic features of the pileus, flesh, lamellae, and stipe; microscopic features; taxonomic remarks such as how to distinguish similar species; and source and date of the collection. On the right-hand page are clear line drawings of microscopic features including spores, basidia, cystidia, and pileipellis, and a high-quality color photograph, usually taken in situ so that visual information about habitat is conveyed. The spore-print color swatches used in Volume 4 have returned, given the importance of spore-print color in separating species within the Russulaceae.
This is a another very nicely produced book–highly informative, aesthetically pleasing, and useful for, as well as usable by, amateurs and professionals alike. At over $100 it isn't cheap; however, its high quality and value make it worth the price. If you're serious about identifying mushrooms, you'll find the set indispensable.
[Note: For those interested in filling in missing volumes in your collection, all are still available in English, German, or French at the following prices: Volume 1 (118 CHF), Volumes 2 and 3 (148 each), and Volumes 4 and 5 (158 each). Shipping is 23 CHF for the first book ordered, and 14 for each additional book. Visa and MasterCard accepted. Contact Verlag-Edition Mykologia Lucerne, P.O. Box, CH-6000 Lucerne 6, Switzerland.]
— Review by Steve Trudell, Seattle, WA
— Originally published in The Mycophile 47:4, 2006